On Wednesday, Margaret River Chamber of Commerce and Industry held our Annual General Meeting (AGM), to thank members for a wonderful year that was and to update them on future events and planned activities. It was also an opportunity to keep members informed about what MRCCI has been doing on their behalf, to discuss how we are growing as an organisation and community advocate, and show how we can develop further benefits for our members. The event was hosted by Judith Reynolds and South Regional TAFE who provided complimentary platters and wine crafted by their talented students – delicious! Thank you, Judith.
This year we’ve enjoyed many events with our members. MRCCI held 11 Networking Sundowners where business representatives were given the opportunity to meet and connect with other businesses and stakeholders in the region while hearing updates from local businesses, events and organisations. Thank you to the support provided by our incredible sponsors hosting these events. Other events we’ve held this year include International Women’s Day, Business Breakfasts, NBN and AusIndustry Information Sessions, the Awards Ready and Migration Law Workshops and of course our incredible Business Awards (to name a few).
And there are many more events to look forward to!
In September we’re excited to have our 2017 Environment Celebration.
In October we’ll be celebrating 50 years of wine with a big bus tour!
Attached: molecular data:
Here is a molecular structure, C45H38AuGeN4O4S in a non-equilibrium geometry from the Open Molecules 2025 dataset. Energies are from ωB97M-V with the def2-TZVPD basis set.

Results
E_LUMO (spin up / spin down)   -5.340 / -5.339 eV
Total charge   +1
Frontier orbital gap (spin up / spin down)   5.667 / 5.668 eV

Element x y z (Å)
Au (-0.472, -0.187, 2.551)
C (-3.716, -2.961, 1.218)
O (-2.400, -3.613, 1.151)
C (-1.530, -2.710, 1.531)
N (-1.969, -1.574, 1.914)
C (-3.427, -1.535, 1.764)
C (-3.899, -0.442, 0.831)
C (-5.272, -0.264, 0.677)
C (-5.760, 0.694, -0.195)
C (-4.878, 1.491, -0.916)
C (-3.514, 1.319, -0.761)
C (-3.022, 0.353, 0.109)
C (-0.089, -3.012, 1.558)
C (0.421, -4.267, 1.295)
C (1.784, -4.468, 1.468)
C (2.564, -3.428, 1.944)
C (1.968, -2.200, 2.195)
N (0.672, -1.982, 1.955)
C (2.705, -1.078, 2.806)
N (2.180, 0.057, 2.956)
C (3.193, 0.921, 3.585)
C (4.311, -0.080, 3.956)
O (3.951, -1.303, 3.229)
C (2.634, 1.690, 4.752)
C (3.071, 2.985, 4.999)
C (2.591, 3.688, 6.094)
C (1.661, 3.105, 6.942)
C (1.214, 1.815, 6.695)
C (1.703, 1.109, 5.606)
H (-4.346, -3.570, 1.860)
H (-4.100, -2.935, 0.202)
H (-3.858, -1.389, 2.756)
H (-5.967, -0.873, 1.246)
H (-6.828, 0.825, -0.307)
H (-5.257, 2.243, -1.595)
H (-2.823, 1.936, -1.323)
H (-1.950, 0.230, 0.203)
H (-0.243, -5.059, 0.981)
H (2.224, -5.435, 1.269)
H (3.618, -3.551, 2.146)
H (3.523, 1.625, 2.820)
H (4.318, -0.328, 5.016)
H (5.303, 0.217, 3.628)
H (3.770, 3.453, 4.317)
H (2.935, 4.697, 6.278)
H (1.280, 3.658, 7.791)
H (0.483, 1.359, 7.349)
H (1.354, 0.098, 5.424)
S (-2.807, 3.275, 2.447)
C (-2.165, 1.981, 3.005)
N (-1.725, 0.958, 3.493)
O (2.130, 2.484, 1.369)
C (1.261, 1.698, 1.089)
O (0.111, 1.652, 1.771)
C (1.307, 0.849, -0.146)
C (0.549, 1.580, -1.261)
Ge (0.384, 0.513, -2.893)
C (-0.784, -1.021, -2.526)
C (-2.146, -0.896, -2.803)
C (-3.026, -1.951, -2.599)
C (-2.551, -3.168, -2.132)
C (-1.200, -3.312, -1.843)
C (-0.331, -2.244, -2.027)
C (-0.486, 1.600, -4.253)
C (-0.927, 2.890, -3.966)
C (-1.574, 3.653, -4.931)
C (-1.786, 3.130, -6.198)
C (-1.350, 1.846, -6.498)
C (-0.706, 1.089, -5.532)
C (2.168, -0.013, -3.474)
C (2.581, -1.320, -3.722)
C (3.884, -1.593, -4.120)
C (4.795, -0.558, -4.276)
C (4.396, 0.751, -4.043)
C (3.095, 1.018, -3.646)
H (0.834, -0.123, 0.036)
H (2.344, 0.679, -0.439)
H (1.056, 2.522, -1.486)
H (-0.455, 1.839, -0.912)
H (-2.529, 0.035, -3.207)
H (-4.076, -1.828, -2.833)
H (-3.225, -4.008, -2.010)
H (-0.818, -4.267, -1.504)
H (0.721, -2.381, -1.794)
H (-0.763, 3.319, -2.983)
H (-1.905, 4.656, -4.695)
H (-2.287, 3.723, -6.952)
H (-1.509, 1.438, -7.488)
H (-0.368, 0.089, -5.784)
H (1.880, -2.142, -3.639)
H (4.184, -2.613, -4.320)
H (5.809, -0.770, -4.589)
H (5.098, 1.565, -4.175)
H (2.800, 2.049, -3.479)

=====

Here is a molecular structure, C45H38ClN5O3P2Pb from the Open Molecules 2025 dataset. Energies are from ωB97M-V with the def2-TZVPD basis set.

Results
E_LUMO   0.165 eV
Frontier orbital gap   6.778 eV

Element x y z (Å)
Pb (-0.267, -0.482, 0.171)
Coming in November we have the Forrest Personnel 30th birthday celebration and,
********
ORCA calculation (ωB97M-V with the def2-TZVPD basis set) on a molecular structure, C2H2AuFLiO2 at a distorted geometry.

Output
* LUMO (spin up / spin down): -20.27 / -19.76 eV
* total energy: -12768.2163 eV
* charge: +3
* HOMO (spin up / spin down): -26.8 / -27.2 eV
* expectation value of S²: 2.026
* spin multiplicity: 3

The geometry in XYZ format:
```
9
Properties=species:S:1:pos:R:3:mulliken_charge:R:1
C 0.2578 -0.6333 -0.2825 1.102
C 0.9841 -1.5699 -1.0501 0.143
O 0.6804 0.4955 -0.1064 -0.156
F 0.4259 1.0638 1.9436 -0.480
H -1.8931 -0.1292 -1.1093 0.416
H 2.0848 -1.5386 -1.0035 0.397
Li -0.0368 2.3658 0.3161 0.966
Au -1.1698 0.1352 1.6165 1.151
O -1.3333 -0.1893 -0.3245 -0.541
```

ORCA calculation (ωB97M-V with the def2-TZVPD basis set) on a single C18H22O8 molecule.

Output
* energy relative to the best compared isomer or geometry (same formula, charge and spin): 5.0 kcal per mole
* LUMO: 0.14 eV
* total energy: -35402.7302 eV
* HOMO: -8.6 eV
* structure (SMILES): CCCc1cc(=O)oc2cc(O[C@@H]3O[C@H](CO)[C@@H](O)[C@H](O)[C@H]3O)ccc12

The geometry in XYZ format:
```
48
Properties=species:S:1:pos:R:3:mulliken_charge:R:1
C -5.5654 -0.8645 2.0860 -1.274
C -4.9444 -1.8200 1.0758 -0.260
H -3.9146 -2.0338 1.3672 0.369
H -5.4986 -2.7609 1.0810 0.366
C -4.9701 -1.2487 -0.3510 -1.259
C -4.0855 -0.0464 -0.4744 0.687
C -4.6054 1.2019 -0.4637 -0.292
C -3.7925 2.3986 -0.5225 0.052
O -4.2106 3.5292 -0.5081 -0.635
O -2.4342 2.2127 -0.5907 -0.528
C -1.8813 0.9840 -0.6186 -0.717
C -0.4893 0.9386 -0.6971 0.041
C 0.1480 -0.2865 -0.7386 0.590
C -0.6056 -1.4680 -0.6898 -1.358
C -1.9730 -1.4152 -0.6056 -0.494
C -2.6522 -0.1894 -0.5659 1.031
H -2.5307 -2.3368 -0.5755 0.366
H -0.0886 -2.4136 -0.7236 0.468
O 1.4985 -0.4625 -0.8142 -0.264
C 2.3642 0.6355 -1.0592 -0.279
O 3.5067 0.1584 -1.6811 -0.488
C 4.4892 -0.5195 -0.8964 0.074
C 4.8401 0.2420 0.3968 -0.323
O 6.2246 0.3811 0.5989 -0.598
H 6.6175 0.8226 -0.1648 0.400
C 4.1621 1.6163 0.3860 -0.135
O 4.4079 2.3174 1.5797 -0.577
H 5.2825 2.0558 1.8979 0.418
C 2.6507 1.4330 0.2328 0.337
O 1.9974 2.6691 0.1454 -0.548
H 2.3451 3.2314 0.8502 0.382
H 2.2825 0.8641 1.1027 0.130
H 4.5342 2.2013 -0.4743 0.223
H 4.4820 -0.3246 1.2651 0.454
C 4.1334 -1.9935 -0.6018 -0.743
O 3.2485 -2.1656 0.4668 -0.616
H 2.4019 -1.7649 0.2151 0.352
H 3.7386 -2.4394 -1.5239 0.297
H 5.0527 -2.5107 -0.3173 0.469
H 5.3611 -0.5219 -1.5621 0.456
H 1.9063 1.3115 -1.7939 0.464
H 0.0471 1.8728 -0.7014 0.646
H -5.6687 1.3726 -0.4008 0.432
H -5.9948 -0.9659 -0.5969 0.458
H -4.6525 -2.0180 -1.0567 0.415
H -5.0204 0.0761 2.1138 0.319
H -6.6006 -0.6534 1.8275 0.305
H -5.5439 -1.3022 3.0811 0.385
```

ORCA calculation (ωB97M-V with the def2-TZVPD basis set) on a molecular structure, C5H14NO2 at a distorted geometry.

Output
* energy relative to the best compared isomer or geometry (same formula, charge and spin): 198.3 kcal per mole
* LUMO: -8.76 eV
* total energy: -10983.2042 eV
* charge: +1
* HOMO: -12.8 eV

The geometry in XYZ format:
```
22
********
In December, don’t forget the Annual Settlers Tavern Christmas Party!
Be on the look out for our newsletter and invitations for all the dates and information. We will also be providing more workshops and training throughout the year so keep any eye out for those as well.
This year MRCCI has also increased and enhanced our partnerships. We collaborated with 5 other Chambers in signing the Memorandum of Understanding and formalised the Capes Region Business Network, our President Steve Castan was elected onto the South West Chambers of Commerce and Industry Committee and we attended the RCCIWA workshops in Perth where we met with Parliamentarians and other chambers to share knowledge and address challenges. These partnerships will enhance our ability to advocate and provide benefits to our members.
MRCCI has also completed our strategic planning process, identifying 5 key focus areas as we move forward –
- Buy Local – including Small Business Day.
- Environment – Including the Environmental Excellence Business Award and an MOU with Nature Conservation Margaret River Region.
- Governance – Including a new Constitution, Committee Induction kit and Sub-committees to focus on the key areas.
- Innovation & Technology – Including the continuation of the Wi-Fi project, workshops and information sessions.
- Membership Development – Including a member survey and a member to member benefits program.
At the AGM we also had nominations and confirmations for our committee members, and we are once again honoured with a fantastic team.
MRCCI would like to congratulate and welcome all our new and returning appointees.
President – Steve Castan, Barrister and Mediator
Deputy President – Rebecca Hannan, Coach – Speaker – Trainer
Treasurer – Alistair Wilkie, Nexus Bookkeeping
== Unrelated to this text: data records ==
____________
1.
DFT (wB97M-V/def2-TZVPD) results for a gas-phase ion, C22H24FN2O2 (charge +1).

Output
Structure (SMILES): CCOc1cc2c(cc1OCC)-n1cccc1[C@H](c1ccc(F)cc1)[NH2+]C2
Kohn-Sham gap: 0.3036 hartree
Maximum force: 0.85 eV Å⁻¹
HOMO energy: -10.99 eV
E_LUMO: -0.100 Ha
Energy relative to the best compared isomer or geometry (same formula, charge and spin): 0.6 kcal/mol
Total charge: +1

Cartesian coordinates (Å):
1 C 5.18 2.80 -0.20
2 C 4.06 3.36 0.67
3 H 4.46 4.15 1.32
4 H 3.26 3.80 0.06
5 O 3.54 2.41 1.58
6 C 2.76 1.38 1.15
7 C 2.21 1.31 -0.12
8 C 1.38 0.27 -0.51
9 C 1.07 -0.73 0.41
10 C 1.62 -0.69 1.68
11 C 2.47 0.35 2.08
12 O 2.90 0.23 3.34
13 C 3.86 1.11 3.93
14 C 4.13 0.58 5.33
15 H 4.86 1.22 5.82
16 H 3.22 0.58 5.91
17 H 4.52 -0.43 5.28
18 H 3.46 2.13 3.97
19 H 4.78 1.11 3.33
20 H 1.40 -1.45 2.40
21 N 0.21 -1.78 0.03
22 C 0.38 -3.10 0.25
23 C -0.65 -3.78 -0.33
24 C -1.50 -2.83 -0.92
25 C -0.94 -1.60 -0.70
26 C -1.44 -0.22 -0.95
27 C -2.88 -0.19 -1.39
28 C -3.25 -0.73 -2.62
29 C -4.58 -0.72 -3.02
30 C -5.53 -0.17 -2.17
31 C -5.18 0.37 -0.94
32 C -3.86 0.35 -0.56
33 H -3.58 0.76 0.40
34 H -5.95 0.78 -0.31
35 F -6.80 -0.15 -2.56
36 H -4.88 -1.13 -3.97
37 H -2.52 -1.18 -3.27
38 H -1.31 0.37 -0.04
39 N -0.59 0.49 -2.01
40 H -0.73 1.50 -1.91
41 H -0.95 0.21 -2.93
42 C 0.87 0.16 -1.92
43 H 1.41 0.83 -2.58
44 H 0.99 -0.87 -2.28
45 H -2.42 -3.03 -1.43
46 H -0.80 -4.84 -0.32
47 H 1.24 -3.47 0.78
48 H 2.43 2.08 -0.84
49 H 5.57 3.58 -0.84
50 H 4.83 1.98 -0.82
51 H 5.98 2.43 0.43

=====

2.
DFT (wB97M-V/def2-TZVPD) results for a molecular structure, C22H24FN3O3.

Output
Kohn-Sham gap: 0.3284 hartree
Maximum force: 0.10 eV Å⁻¹
HOMO energy: -8.40 eV
E_LUMO: 0.020 Ha
Energy relative to the best compared isomer or geometry (same formula, charge and spin): 48.7 kcal/mol

Cartesian coordinates (Å):
1 O 0.30 -2.09 -2.90
2 C -0.26 -2.68 -1.99
3 C 0.45 -3.33 -0.86
4 C 1.71 -3.03 -0.54
5 C 2.42 -3.61 0.66
6 C 3.90 -3.31 0.41
7 C 3.85 -1.95 -0.30
8 C 2.65 -2.09 -1.25
9 N -1.63 -2.79 -1.93
10 C -2.44 -1.88 -2.71
11 C -2.51 -0.54 -2.04
12 C -3.16 0.74 -2.59
13 C -2.37 1.36 -1.41
14 N -2.23 2.79 -1.39
15 C -1.78 3.62 -0.41
16 O -2.05 4.81 -0.42
17 C -0.91 3.09 0.67
18 C 0.03 2.10 0.72
19 C 0.61 2.17 2.03
20 C 1.60 1.45 2.70
21 F 2.20 0.43 2.06
22 C 1.95 1.76 3.98
23 C 1.31 2.83 4.64
24 C 0.33 3.58 4.03
25 C -0.01 3.23 2.71
26 N -0.94 3.77 1.86
27 C -3.08 0.67 -0.24
28 O -3.14 -0.68 -0.74
29 C -1.27 0.31 -1.73
30 H -0.11 -4.02 -0.25
31 H 2.09 -3.07 1.56
32 H 2.20 -4.67 0.82
33 H 4.49 -3.29 1.33
34 H 4.33 -4.06 -0.25
35 H 3.67 -1.16 0.43
36 H 4.77 -1.71 -0.83
37 H 2.95 -2.54 -2.20
38 H 2.17 -1.15 -1.51
39 H -2.01 -3.06 -1.04
40 H -1.99 -1.78 -3.70
41 H -3.44 -2.30 -2.83
42 H -2.76 1.03 -3.56
43 H -4.25 0.80 -2.56
44 H -2.75 3.29 -2.10
45 H 0.31 1.44 -0.07
46 H 2.72 1.19 4.47
47 H 1.61 3.07 5.65
48 H -0.16 4.39 4.54
49 H -1.46 4.62 1.99
50 H -2.50 0.70 0.69
51 H -4.08 1.06 -0.07
52 H -0.65 -0.06 -0.92
53 H -0.69 0.55 -2.61

=====

3.
____________
General committee management positions:
- Andrew Horan, Ultimate Growth
- Jeff Leach, Caves Mechanical
- Judith Reynolds, South Regional TAFE
- Marilyn Smith, Iris Naturopathic and Skin Clinic
- Julie Kiker, Commonwealth Bank
- Peter Griffyn, CloudPress
- Phill Cronin, First National Margaret River
- Richard Halse, The Larder
We would also like to express our gratitude to those Committee Members who stepped down – Ashleigh Harris, Rebecca Cameron, Sylvia Chandler and Sylvia Skivinis and Siobhan Halse. You have all contributed so much of your time, skills and passion into the business community. We will miss you!
MRCCI will only continue to grow and develop in ways to better you, our members. MRCCI aims to be the leading voice of a thriving Margaret River region business community, and through strategic engagement enhance the sustainable economic development of our diverse and vibrant community. With this years AGM completed and looking back at all the great events that have been held, we hope that we can continue to provide our members with the all the best events, workshops and benefits we can offer